COS 75-1 - The effect of climate change factors on biological N-fixation by bryophyte-cyanobacteria associations in Boreal forests

These records of molecules were left in the piece by mistake:
ORCA calculation (ωB97M-V/def2-TZVPD) on a 5-piece molecular cluster, C26H42ClN5O7S2 overall.

Values from the calculation:
frontier orbital gap = 9.228 eV
ΔE to the lowest compared entry with this formula, charge and spin = 90.2 kcal/mol
net charge = 0
SMILES = C[C@@H](COC(=O)CSN(CC(=O)Cl)C(=O)O)OC(=O)CS.CCCC#N.CCCC#N.CCCC#N.CCCC#N
lowest unoccupied orbital energy = 0.13 eV
highest occupied orbital energy = -0.3345 Ha

Structure (XYZ):
```
83
Properties=species:S:1:pos:R:3:forces:R:3
C -2.0193 2.6897 0.5645 1.25 0.93 0.83
C -0.4690 2.4397 0.9954 -1.87 -0.24 -1.82
C 0.2654 1.8413 -0.3131 0.33 2.17 -0.26
O -0.0821 0.4674 -0.6127 1.65 -1.03 1.95
C 0.8043 -0.4654 -0.0296 2.70 -0.79 0.84
O 2.0344 -0.3390 0.1189 -4.33 0.58 -0.67
C 0.1568 -1.8795 0.4416 -1.40 1.08 -1.08
S 1.3594 -3.2010 -0.0576 -0.07 -0.09 0.07
N 1.9379 -4.0957 1.3109 -0.92 0.33 0.91
C 2.2968 -3.2419 2.4769 1.09 -0.92 1.31
C 3.7393 -2.5293 2.2771 -0.37 3.52 0.10
O 3.9335 -1.3107 2.3469 -0.70 -5.06 -0.14
Cl 5.1320 -3.7068 1.9778 -1.46 0.93 0.22
C 1.0579 -5.2205 1.6761 -2.85 -1.67 1.19
O -0.0673 -5.1431 2.2036 3.98 0.27 -1.98
O 1.5580 -6.5307 1.3589 0.43 3.00 1.25
O 0.0900 3.7839 1.1769 0.96 -1.35 2.24
C 1.0505 3.8084 2.2235 4.10 0.75 -0.83
O 2.2560 4.0261 1.9304 -4.75 -0.65 0.97
C 0.6753 3.6319 3.7635 -1.43 0.46 -0.25
S 2.2324 3.1968 4.6765 -0.10 -0.50 0.18
H -2.4112 3.5183 1.2599 0.31 -1.48 -0.76
H -2.6436 1.7405 0.5791 0.89 1.38 0.03
H -2.0341 3.1526 -0.4872 0.23 -0.86 2.01
H -0.3858 1.7786 1.9204 0.11 0.90 -1.17
H -0.1275 2.4714 -1.1989 0.60 -1.13 1.42
H 1.3814 2.0619 -0.2490 -1.35 -0.83 -0.01
H -0.8153 -2.0067 -0.1681 1.47 -0.04 1.03
H -0.1495 -1.8850 1.5377 0.63 0.13 -1.41
H 1.4865 -2.5126 2.8132 1.32 -0.65 -0.74
H 2.4549 -3.9638 3.3687 -0.19 1.15 -1.31
H 2.5097 -6.5309 1.6447 -0.90 0.03 -0.83
H 0.3161 4.6412 4.1892 0.37 -1.51 -1.01
H -0.1863 2.8979 3.8912 1.24 0.90 -0.08
H 1.8441 2.4628 5.7950 -0.41 0.73 -1.14
C 10.5397 -6.3011 2.5204 0.07 -0.05 0.00
C 10.2065 -4.8159 2.4237 0.29 -0.21 -0.04
C 8.7192 -4.5240 2.6361 -0.20 -0.34 -0.73
C 7.9055 -5.2255 1.5871 -1.59 -1.14 -1.70
N 7.2680 -5.7780 0.7618 2.05 1.66 2.55
H 10.0316 -6.8794 1.7445 -0.03 0.06 0.08
H 11.6132 -6.4586 2.3915 -0.08 0.00 0.06
H 10.2511 -6.7050 3.4957 0.03 0.00 -0.09
H 10.5204 -4.4453 1.4427 -0.10 0.07 0.11
H 10.7873 -4.2717 3.1740 -0.14 0.06 -0.05
H 8.5338 -3.4489 2.5709 -0.16 -0.14 -0.05
H 8.3983 -4.8639 3.6245 -0.08 -0.03 -0.14
C -4.7882 3.9713 -4.6375 -0.07 0.04 -0.02
C -3.2752 3.8238 -4.7588 -0.25 0.29 -0.10
C -2.7670 2.4697 -4.2586 -0.14 0.21 0.80
C -3.1108 2.3012 -2.8065 -0.51 -0.62 2.48
N -3.3794 2.1691 -1.6634 0.10 0.15 -4.51
H -5.1158 3.9216 -3.5958 0.04 -0.06 -0.06
H -5.1081 4.9385 -5.0320 0.01 -0.10 0.00
H -5.3048 3.1869 -5.1989 0.02 0.07 0.05
H -2.7940 4.6308 -4.1970 0.07 -0.14 -0.06
H -2.9890 3.9465 -5.8072 0.09 -0.11 0.11
H -1.6822 2.4081 -4.3793 -0.08 -0.10 0.13
H -3.2179 1.6547 -4.8310 -0.02 0.06 0.12
C -4.1016 -2.8442 -5.9476 -0.06 -0.05 -0.01
C -2.6244 -2.6073 -5.6516 -0.22 -0.31 -0.06
Back to the piece:
Wednesday, August 8, 2012: 8:00 AM
B115, Oregon Convention Center
<<<
{
  "formula": "C40H59F8N3O20S",
  "method": "ωB97M-V/def2-TZVPD",
  "symbols": ["C", "C", "C", "C", "O", "C", "N", "O", "S", "O", "O", "C", "C", "C", "C", "C", "C", "C", "C", "F", "C", "C", "C", "N", "C", "C", "C", "N", "C", "C", "C", "O", "C", "F", "F", "C", "F", "F", "C", "F", "F", "F", "H", "H", "H", "H", "H", "H", "H", "H", "H", "H", "H", "H", "H", "H", "H", "H", "H", "H", "H", "H", "H", "H", "H", "H", "H", "H", "H", "H", "H", "C", "O", "C", "O", "O", "C", "H", "H", "H", "H", "H", "H", "C", "O", "C", "O", "O", "C", "H", "H", "H", "H", "H", "H", "C", "O", "C", "O", "O", "C", "H", "H", "H", "H", "H", "H", "C", "O", "C", "O", "O", "C", "H", "H", "H", "H", "H", "H", "C", "O", "C", "O", "O", "C", "H", "H", "H", "H", "H", "H"],
>>>
Michael Gundale, Department of Forest Ecology and Management, Swedish University of Agricultural Sciences, Umea, Sweden

Boreal forests serve as a significant pool of terrestrial carbon (C), and currently serve as net C sinks.  Several models predict that the productivity of boreal forests will increase in response to a variety of global change factors, which has clear implications for the global C cycle.  However, it is increasingly recognized that increases in productivity in these systems may be constrained by nitrogen (N) inputs and availability.  As such there is great interest in understanding how global change factors directly influence biological N-fixation in these systems, as well as the degree to which biological N-fixation down-regulates in response to anthropogenic N inputs.  One of the most widespread sources of biological N-fixation in boreal forests occurs through symbiotic associations between a variety of feather moss and cyanobacteria species.  Using a combination of field and indoor experiments, I will describe several studies (conducted with co-authors) showing how biological N-fixation responds to a variety of global change factors, including temperature, precipitation, and atmospheric N-deposition.


-- begin --
1.
Here is a cluster of 3 separate species, C4H13N2 in total from OMol25. Energies are from ωB97M-V/def2-TZVPD.

Results
* maximum force: 0.0826 Eh/bohr
* charge: +1
* frontier orbital gap: 5.251 eV

Cartesian coordinates (Å):
1 C -0.13 0.64 0.95
2 N 0.32 -0.48 1.78
3 C -0.42 0.16 -0.48
4 N 2.97 0.97 1.36
5 C -1.57 -0.06 -2.71
6 C -1.41 0.47 -1.29
7 H -0.94 1.35 1.25
8 H 0.71 1.41 0.98
9 H 0.02 -0.33 2.73
10 H -0.79 -3.01 1.59
11 H 0.34 -0.59 -0.62
12 H 3.32 0.93 0.38
13 H 2.19 0.17 1.29
14 H 3.82 0.48 1.83
15 H -2.64 -0.16 -2.90
16 H -1.19 0.65 -3.46
17 H -1.14 -1.04 -2.91
18 H -1.32 -2.82 1.15
19 H -2.14 1.27 -0.93

2.
Here is a structure of composition H12NiO6 from OMol25. Energies are from ωB97M-V/def2-TZVPD.

Results
* maximum force: 0.0499 Eh/bohr
* <S²>: 2.00
* charge: +2
* multiplicity: 3
* frontier orbital gap (alpha / beta): 12.771 / 12.577 eV

Cartesian coordinates (Å):
1 Ni 0.09 -0.04 -0.06
2 O 1.88 -0.48 -0.86
3 H 2.38 0.34 -0.97
4 H 2.12 -1.09 -1.56
5 O -0.44 -1.95 -0.36
6 H 0.27 -2.60 -0.28
7 H -1.27 -2.45 -0.25
8 O -1.72 0.36 0.61
9 H -2.22 1.14 0.29
10 H -2.37 -0.05 1.22
11 O 0.47 1.91 0.45
12 H 0.50 2.03 1.41
13 H 1.01 2.60 0.09
14 O 0.48 -0.41 1.96
15 H 1.20 -0.60 2.53
16 H -0.23 -1.02 2.10
17 O -0.49 0.49 -1.95
18 H -0.24 1.44 -2.06
19 H -1.39 0.37 -2.31

Going through the records in order, we get ΔE to the lowest compared entry with this formula, charge and spin values of 8.340 0.541 eV.
Going through the records in order, we get E values of -7325.147 -53508.201 eV.
-- stop --
In a controlled incubation study, we found that upper range IPCC warming predictions will likely increase N-fixation rates, given that mean summer temperatures in many boreal ecosystem are well below the enzymatic optimum of the nitrogenase enzyme.  However, this experiment also showed that the positive response of N-fixation to warming was constrained by reduction in light intensity, which may occur as a result of warming associated increases in forest canopy cover.  In a separate four-year field experiment where we manipulated precipitation regimes, we found that increased responses to experimental warming were further constrained by reductions in summer precipitation frequency.  Finally, using a 4-year stand scale simulated N-deposition experiment, we found that N-fixation sharply decreased in response to even very low rates of N-deposition (3 kg ha-1 yr-1), and that feather mosses served as a substantial sink of anthropogenic N-inputs that limit the uptake of this novel N source by vascular plants.  These results highlight the key role that boreal feather mosses may have in controlling N-inputs in boreal forests, which have clear implications for understanding the long term productivity and C balance of boreal ecosystems in response to climate change.